### Entries
Record 1
The following is a DFT calculation (PBE) of crystalline Zr3Ni20B6 at its relaxed geometry.

POSCAR file:
```
Zr3Ni20B6
1.0
0.000 5.355 5.355
5.355 0.000 5.355
5.355 5.355 0.000
Zr Ni B
3 20 6
Cartesian
0.000 0.000 0.000
2.677 2.677 2.677
8.032 8.032 8.032
1.847 1.847 0.000
3.508 3.508 0.000
1.847 0.000 1.847
5.355 3.508 1.847
3.508 0.000 3.508
5.355 1.847 3.508
6.570 4.139 4.139
0.000 1.847 1.847
3.508 5.355 1.847
3.508 1.847 5.355
4.139 4.139 4.139
6.570 6.570 4.139
6.570 4.139 6.570
4.139 6.570 4.139
4.139 4.139 6.570
6.570 6.570 6.570
0.000 3.508 3.508
1.847 5.355 3.508
1.847 3.508 5.355
4.139 6.570 6.570
5.355 5.355 2.853
5.355 2.853 5.355
7.856 5.355 5.355
2.853 5.355 5.355
5.355 7.856 5.355
5.355 5.355 7.856
```

Output
ΔH_f (0 K): -423 meV/atom
symmetry: No. 225
DFT total energy: -193.59 eV per cell
size of the total moment: 0.00 μB per cell


Record 2
The following is a DFT calculation (PBE) of crystalline SnBi2Au at its relaxed geometry.

POSCAR file:
```
SnBi2Au
1.0
3.795 0.000 0.000
0.000 3.795 0.000
0.000 0.000 7.547
Sn Bi Au
1 2 1
Cartesian
0.000 0.000 0.000
1.897 1.897 2.115
1.897 1.897 5.433
0.000 0.000 3.774
```

Output
ΔH_f (0 K): 91 meV/atom
symmetry: No. 123
DFT total energy: -14.68 eV per cell
size of the total moment: 0.00 μB per cell


Record 3
The following is a DFT calculation (PBE) of crystalline ZrTi2Sn at its relaxed geometry.

POSCAR file:
```
ZrTi2Sn
1.0
7.692 0.000 0.000
0.000 7.692 0.000
0.000 0.000 5.729
Zr Ti Sn
4 8 4
Cartesian
0.000 0.000 0.000
0.000 3.846 1.432
3.846 0.000 4.297
3.846 3.846 2.865
1.859 5.769 3.581
1.923 1.859 2.149
1.923 1.987 5.013
1.987 5.769 0.716
5.705 1.923 0.716
5.769 5.705 5.013
5.769 5.833 2.149
5.833 1.923 3.581
0.000 0.000 2.865
0.000 3.846 4.297
3.846 0.000 1.432
3.846 3.846 0.000
```

Output
ΔH_f (0 K): 284 meV/atom
symmetry: No. 122
DFT total energy: -108.82 eV per cell
size of the total moment: 0.00 μB per cell


Record 4
The following is a DFT calculation (PBE) of crystalline ZrPaAs2 at its relaxed geometry.

POSCAR file:
```
ZrPaAs2
1.0
3.940 0.000 0.000
-1.970 3.412 0.000
0.000 0.000 8.377
Zr Pa As
1 1 2
Cartesian
0.000 0.000 0.000
0.000 2.275 4.302
0.000 0.000 2.624
0.000 2.275 7.067
```

Output
ΔH_f (0 K): -251 meV/atom
symmetry: No. 156
DFT total energy: -28.35 eV per cell
size of the total moment: 0.35 μB per cell
relative energy among the computed polymorphs: 3.41 eV per formula unit


Record 5
The following is a DFT calculation (PBE) of crystalline BaDyP2Pt4 at its relaxed geometry.

POSCAR file:
```
BaDyP2Pt4
1.0
4.103 0.000 0.000
0.000 4.103 0.000
0.000 0.000 10.299
Ba Dy P Pt
1 1 2 4
Cartesian
0.000 0.000 0.000
0.000 0.000 5.150
2.052 2.052 1.875
2.052 2.052 8.424
0.000 2.052 3.039
0.000 2.052 7.260
2.052 0.000 3.039
2.052 0.000 7.260
```

Output
ΔH_f (0 K): -892 meV/atom
symmetry: No. 123
DFT total energy: -48.65 eV per cell
size of the total moment: 0.00 μB per cell


Record 6
The following is a DFT calculation (PBE) of crystalline Li2BeOs at its relaxed geometry.

POSCAR file:
```
Li2BeOs
1.0
2.544 0.000 0.000
0.000 3.840 0.000
0.000 0.000 5.252
Li Be Os
2 1 1
Cartesian
0.000 0.000 0.000
1.272 1.920 1.266
1.272 1.920 3.510
0.000 0.000 2.742
```

Output
ΔH_f (0 K): 131 meV/atom
symmetry: No. 25
DFT total energy: -18.26 eV per cell
size of the total moment: 0.00 μB per cell


Record 7
The following is a DFT calculation (PBE) of crystalline CdAs2Se at its relaxed geometry.

POSCAR file:
```
CdAs2Se
1.0
3.984 0.000 0.000
0.000 5.449 0.000
0.000 0.000 7.899
Cd As Se
2 4 2
Cartesian
0.000 0.000 0.000
1.992 2.725 0.000
0.000 2.725 2.070
0.000 2.725 5.829
1.992 0.000 2.070
1.992 0.000 5.829
0.000 0.000 3.949
1.992 2.725 3.949
```

Output
symmetry: No. 65
DFT total energy: -24.43 eV per cell
size of the total moment: 0.00 μB per cell
energy relative to the elements, uncorrected: 0.371 eV/atom
relative energy among the computed polymorphs: 1.94 eV per formula unit


Record 8
### What to do
The reader should type out the lines above up to the one that holds "2.742", that line included.
### Response
Record 1
The following is a DFT calculation (PBE) of crystalline Zr3Ni20B6 at its relaxed geometry.

POSCAR file:
```
Zr3Ni20B6
1.0
0.000 5.355 5.355
5.355 0.000 5.355
5.355 5.355 0.000
Zr Ni B
3 20 6
Cartesian
0.000 0.000 0.000
2.677 2.677 2.677
8.032 8.032 8.032
1.847 1.847 0.000
3.508 3.508 0.000
1.847 0.000 1.847
5.355 3.508 1.847
3.508 0.000 3.508
5.355 1.847 3.508
6.570 4.139 4.139
0.000 1.847 1.847
3.508 5.355 1.847
3.508 1.847 5.355
4.139 4.139 4.139
6.570 6.570 4.139
6.570 4.139 6.570
4.139 6.570 4.139
4.139 4.139 6.570
6.570 6.570 6.570
0.000 3.508 3.508
1.847 5.355 3.508
1.847 3.508 5.355
4.139 6.570 6.570
5.355 5.355 2.853
5.355 2.853 5.355
7.856 5.355 5.355
2.853 5.355 5.355
5.355 7.856 5.355
5.355 5.355 7.856
```

Output
ΔH_f (0 K): -423 meV/atom
symmetry: No. 225
DFT total energy: -193.59 eV per cell
size of the total moment: 0.00 μB per cell


Record 2
The following is a DFT calculation (PBE) of crystalline SnBi2Au at its relaxed geometry.

POSCAR file:
```
SnBi2Au
1.0
3.795 0.000 0.000
0.000 3.795 0.000
0.000 0.000 7.547
Sn Bi Au
1 2 1
Cartesian
0.000 0.000 0.000
1.897 1.897 2.115
1.897 1.897 5.433
0.000 0.000 3.774
```

Output
ΔH_f (0 K): 91 meV/atom
symmetry: No. 123
DFT total energy: -14.68 eV per cell
size of the total moment: 0.00 μB per cell


Record 3
The following is a DFT calculation (PBE) of crystalline ZrTi2Sn at its relaxed geometry.

POSCAR file:
```
ZrTi2Sn
1.0
7.692 0.000 0.000
0.000 7.692 0.000
0.000 0.000 5.729
Zr Ti Sn
4 8 4
Cartesian
0.000 0.000 0.000
0.000 3.846 1.432
3.846 0.000 4.297
3.846 3.846 2.865
1.859 5.769 3.581
1.923 1.859 2.149
1.923 1.987 5.013
1.987 5.769 0.716
5.705 1.923 0.716
5.769 5.705 5.013
5.769 5.833 2.149
5.833 1.923 3.581
0.000 0.000 2.865
0.000 3.846 4.297
3.846 0.000 1.432
3.846 3.846 0.000
```

Output
ΔH_f (0 K): 284 meV/atom
symmetry: No. 122
DFT total energy: -108.82 eV per cell
size of the total moment: 0.00 μB per cell


Record 4
The following is a DFT calculation (PBE) of crystalline ZrPaAs2 at its relaxed geometry.

POSCAR file:
```
ZrPaAs2
1.0
3.940 0.000 0.000
-1.970 3.412 0.000
0.000 0.000 8.377
Zr Pa As
1 1 2
Cartesian
0.000 0.000 0.000
0.000 2.275 4.302
0.000 0.000 2.624
0.000 2.275 7.067
```

Output
ΔH_f (0 K): -251 meV/atom
symmetry: No. 156
DFT total energy: -28.35 eV per cell
size of the total moment: 0.35 μB per cell
relative energy among the computed polymorphs: 3.41 eV per formula unit


Record 5
The following is a DFT calculation (PBE) of crystalline BaDyP2Pt4 at its relaxed geometry.

POSCAR file:
```
BaDyP2Pt4
1.0
4.103 0.000 0.000
0.000 4.103 0.000
0.000 0.000 10.299
Ba Dy P Pt
1 1 2 4
Cartesian
0.000 0.000 0.000
0.000 0.000 5.150
2.052 2.052 1.875
2.052 2.052 8.424
0.000 2.052 3.039
0.000 2.052 7.260
2.052 0.000 3.039
2.052 0.000 7.260
```

Output
ΔH_f (0 K): -892 meV/atom
symmetry: No. 123
DFT total energy: -48.65 eV per cell
size of the total moment: 0.00 μB per cell


Record 6
The following is a DFT calculation (PBE) of crystalline Li2BeOs at its relaxed geometry.

POSCAR file:
```
Li2BeOs
1.0
2.544 0.000 0.000
0.000 3.840 0.000
0.000 0.000 5.252
Li Be Os
2 1 1
Cartesian
0.000 0.000 0.000
1.272 1.920 1.266
1.272 1.920 3.510
0.000 0.000 2.742